Excerpt >
********
The following is a quantum chemistry calculation of C4H13N3 as an isolated structure, from the Open Molecules 2025 dataset.

## Properties
Gap between HOMO and LUMO = 9.2 eV
Net charge = 0

Cartesian coordinates (Å):
1 N -0.82265 1.76054 -0.66211
2 N -0.86266 1.45518 0.70824
3 N 0.40440 -1.25128 -1.23586
4 C 2.06781 0.29413 -0.11626
5 C -1.83139 -0.80207 0.65005
6 C 0.78212 -0.53507 -0.02898
7 C -0.67684 0.09631 1.03655
8 H -0.05557 1.05662 -1.01173
9 H 1.00320 -1.33765 0.68378
10 H -0.19651 2.05366 1.18285
11 H 2.92482 -0.34442 -0.34642
12 H -0.39812 0.02619 2.08856
13 H 1.05277 -2.00549 -1.44330
14 H -1.79743 -1.71769 1.23840
15 H 0.39259 -0.63777 -2.04078
16 H -1.69180 1.41460 -1.07545
17 H 2.26395 0.80203 0.82831
18 H 1.99740 1.05029 -0.89763
19 H -1.77425 -1.07886 -0.40252
20 H -2.78183 -0.29923 0.84429

---

The following is a quantum chemistry calculation of one molecule with the formula C4H13N3, from the Open Molecules 2025 dataset.

## Properties
Gap between HOMO and LUMO = 9.2 eV
Structure (SMILES) = CNCCNCN
Net charge = 0

Cartesian coordinates (Å):
1 N -0.73636 0.25231 2.97734
2 N 0.35368 0.32399 0.87134
3 N -0.18862 -1.18477 -1.41821
4 C -0.41281 0.26593 -1.52938
5 C 0.37198 0.99702 -0.43100
6 C 0.82055 -1.71232 -2.35010
7 C -0.10264 1.09672 1.99586
8 H -0.84810 0.69762 3.86153
9 H -0.19046 -0.51283 0.70426
10 H -0.73099 1.95606 1.73227
11 H -1.48449 0.44692 -1.51679
12 H -1.05398 -1.65562 -1.63213
13 H 1.36865 1.23681 -0.80377
14 H -0.05366 2.00060 -0.23615
15 H 0.47912 -1.62011 -3.38725
16 H 1.08097 -2.73719 -2.11546
17 H -0.97025 -0.71959 2.87783
18 H -0.03504 0.62887 -2.49420
19 H 0.78873 1.53441 2.47380
20 H 1.69372 -1.06498 -2.25408

---

The following is a quantum chemistry calculation of one molecule with the formula C4H13N3, from the Open Molecules 2025 dataset.

## Properties
Gap between HOMO and LUMO = 9.7 eV
Structure (SMILES) = NCCNCCN
Net charge = 0

Cartesian coordinates (Å):
1 N -0.09250 0.11575 0.44030
2 N 2.51580 -1.44417 0.79244
3 N -2.95607 0.47689 0.48292
4 C -2.17887 -0.23912 -0.59637
5 C 2.21281 -0.37902 -0.13193
6 C -0.75338 0.41093 -0.82281
7 C 1.22170 0.70515 0.46355
8 H -0.74096 0.47069 1.13075
9 H 3.42267 -1.85529 0.53754
10 H -3.61255 -0.18605 0.93211
11 H -2.66378 -0.39487 -1.53301
12 H 1.97206 -0.57165 -1.20010
13 H 1.56028 1.15170 1.45450
14 H -3.67220 1.09955 0.07718
15 H -0.87419 1.42465 -1.11715
16 H 3.17413 0.24104 -0.18316
17 H 1.20959 1.48719 -0.37873
18 H 2.62723 -1.04004 1.72235
19 H -0.35670 -0.16319 -1.69406
20 H -2.01506 -1.31012 -0.37635

---

Which HOMO belongs to each record? In order, -0.30228 -0.29731 -0.31344 Eh.
Which relative energy (zero: lowest compared OMol25 entry of this formula, charge and spin) belongs to each record? In order, 2.5742 1.5596 1.8260 eV.
Which E belongs to each record? In order, -8826.8384 -8827.8530 -8827.5866 eV.

----------

C84H187N2O2P4 | ωB97M-V/def2-TZVPD

The highest occupied orbital energy is -0.6360 Ha. For the largest force on an atom, the calculation gives 2.17 eV Å⁻¹. As for the energy: -4936.588570 hartree. Its multiplicity is 1. As for the charge: +5.

Geometry as XYZ:
```
279
Properties=species:S:1:pos:R:3:forces:R:3
C -3.33387 3.84166 0.71204 -0.195 0.676 0.839
C -3.01891 2.83884 1.82058 0.483 -1.318 -0.271
C -3.78129 1.53309 1.51359 -0.965 -0.136 1.341
C -3.30948 0.44795 2.47877 0.833 -0.768 0.135
N -3.54248 -1.01448 2.08817 -0.511 -0.728 -1.082
C -3.18569 -1.94423 3.19769 0.233 0.233 2.059
C -4.49853 -2.47748 3.82613 0.159 -0.979 -0.400
C -5.66508 -1.83650 3.08517 0.845 1.160 -0.759
C -5.02482 -1.28342 1.79522 0.097 -0.228 0.489
C -2.76216 -1.36256 0.84276 -0.602 0.912 -0.153
H -2.88065 3.48894 -0.21304 -0.095 0.060 -0.109
H -3.00490 4.86521 0.89842 0.324 -0.235 0.091
H -4.40958 3.98292 0.58968 -0.057 -0.422 -0.155
H -3.21895 3.02373 2.88068 -0.607 0.935 -0.274
H -1.95691 2.58065 1.90340 0.146 0.282 -0.597
H -3.87904 1.22948 0.47129 0.590 0.138 -0.094
H -4.80401 1.74752 1.84425 -0.174 0.010 -0.459
********

Activity >
What is needed: duplicate the lines above exactly.

Here it is >
The following is a quantum chemistry calculation of C4H13N3 as an isolated structure, from the Open Molecules 2025 dataset.

## Properties
Gap between HOMO and LUMO = 9.2 eV
Net charge = 0

Cartesian coordinates (Å):
1 N -0.82265 1.76054 -0.66211
2 N -0.86266 1.45518 0.70824
3 N 0.40440 -1.25128 -1.23586
4 C 2.06781 0.29413 -0.11626
5 C -1.83139 -0.80207 0.65005
6 C 0.78212 -0.53507 -0.02898
7 C -0.67684 0.09631 1.03655
8 H -0.05557 1.05662 -1.01173
9 H 1.00320 -1.33765 0.68378
10 H -0.19651 2.05366 1.18285
11 H 2.92482 -0.34442 -0.34642
12 H -0.39812 0.02619 2.08856
13 H 1.05277 -2.00549 -1.44330
14 H -1.79743 -1.71769 1.23840
15 H 0.39259 -0.63777 -2.04078
16 H -1.69180 1.41460 -1.07545
17 H 2.26395 0.80203 0.82831
18 H 1.99740 1.05029 -0.89763
19 H -1.77425 -1.07886 -0.40252
20 H -2.78183 -0.29923 0.84429

---

The following is a quantum chemistry calculation of one molecule with the formula C4H13N3, from the Open Molecules 2025 dataset.

## Properties
Gap between HOMO and LUMO = 9.2 eV
Structure (SMILES) = CNCCNCN
Net charge = 0

Cartesian coordinates (Å):
1 N -0.73636 0.25231 2.97734
2 N 0.35368 0.32399 0.87134
3 N -0.18862 -1.18477 -1.41821
4 C -0.41281 0.26593 -1.52938
5 C 0.37198 0.99702 -0.43100
6 C 0.82055 -1.71232 -2.35010
7 C -0.10264 1.09672 1.99586
8 H -0.84810 0.69762 3.86153
9 H -0.19046 -0.51283 0.70426
10 H -0.73099 1.95606 1.73227
11 H -1.48449 0.44692 -1.51679
12 H -1.05398 -1.65562 -1.63213
13 H 1.36865 1.23681 -0.80377
14 H -0.05366 2.00060 -0.23615
15 H 0.47912 -1.62011 -3.38725
16 H 1.08097 -2.73719 -2.11546
17 H -0.97025 -0.71959 2.87783
18 H -0.03504 0.62887 -2.49420
19 H 0.78873 1.53441 2.47380
20 H 1.69372 -1.06498 -2.25408

---

The following is a quantum chemistry calculation of one molecule with the formula C4H13N3, from the Open Molecules 2025 dataset.

## Properties
Gap between HOMO and LUMO = 9.7 eV
Structure (SMILES) = NCCNCCN
Net charge = 0

Cartesian coordinates (Å):
1 N -0.09250 0.11575 0.44030
2 N 2.51580 -1.44417 0.79244
3 N -2.95607 0.47689 0.48292
4 C -2.17887 -0.23912 -0.59637
5 C 2.21281 -0.37902 -0.13193
6 C -0.75338 0.41093 -0.82281
7 C 1.22170 0.70515 0.46355
8 H -0.74096 0.47069 1.13075
9 H 3.42267 -1.85529 0.53754
10 H -3.61255 -0.18605 0.93211
11 H -2.66378 -0.39487 -1.53301
12 H 1.97206 -0.57165 -1.20010
13 H 1.56028 1.15170 1.45450
14 H -3.67220 1.09955 0.07718
15 H -0.87419 1.42465 -1.11715
16 H 3.17413 0.24104 -0.18316
17 H 1.20959 1.48719 -0.37873
18 H 2.62723 -1.04004 1.72235
19 H -0.35670 -0.16319 -1.69406
20 H -2.01506 -1.31012 -0.37635

---

Which HOMO belongs to each record? In order, -0.30228 -0.29731 -0.31344 Eh.
Which relative energy (zero: lowest compared OMol25 entry of this formula, charge and spin) belongs to each record? In order, 2.5742 1.5596 1.8260 eV.
Which E belongs to each record? In order, -8826.8384 -8827.8530 -8827.5866 eV.

----------

C84H187N2O2P4 | ωB97M-V/def2-TZVPD

The highest occupied orbital energy is -0.6360 Ha. For the largest force on an atom, the calculation gives 2.17 eV Å⁻¹. As for the energy: -4936.588570 hartree. Its multiplicity is 1. As for the charge: +5.

Geometry as XYZ:
```
279
Properties=species:S:1:pos:R:3:forces:R:3
C -3.33387 3.84166 0.71204 -0.195 0.676 0.839
C -3.01891 2.83884 1.82058 0.483 -1.318 -0.271
C -3.78129 1.53309 1.51359 -0.965 -0.136 1.341
C -3.30948 0.44795 2.47877 0.833 -0.768 0.135
N -3.54248 -1.01448 2.08817 -0.511 -0.728 -1.082
C -3.18569 -1.94423 3.19769 0.233 0.233 2.059
C -4.49853 -2.47748 3.82613 0.159 -0.979 -0.400
C -5.66508 -1.83650 3.08517 0.845 1.160 -0.759
C -5.02482 -1.28342 1.79522 0.097 -0.228 0.489
C -2.76216 -1.36256 0.84276 -0.602 0.912 -0.153
H -2.88065 3.48894 -0.21304 -0.095 0.060 -0.109
H -3.00490 4.86521 0.89842 0.324 -0.235 0.091
H -4.40958 3.98292 0.58968 -0.057 -0.422 -0.155
H -3.21895 3.02373 2.88068 -0.607 0.935 -0.274
H -1.95691 2.58065 1.90340 0.146 0.282 -0.597
H -3.87904 1.22948 0.47129 0.590 0.138 -0.094
H -4.80401 1.74752 1.84425 -0.174 0.010 -0.459